Vehicular Systems (FS)

The research in Vehicular Systems has a clear focus on control, diagnosis, and supervision of functions in vehicles.

Autonomous trafficPhoto credit iStock/AkaratPhasura

The overall aim is to develop control systems to obtain performance, safety, energy utilization, and environmental stability. Our strategy is to focus on the system science aspects, and to collaborate with others when it comes to mechanical construction or industrial evaluation. The functions under consideration include advanced engine control, control coordination of vehicle and powertrain systems, and autonomous functions in intelligent vehicles and intelligent roadways.

Someone pasted calculated crystals at this point:
=====
[1]
First-principles (PBE) data for crystalline ScRh2Pb at its relaxed geometry, as listed in the Materials Project.

Computed properties:
Its total energy is -6.78 eV per atom.

Cell lengths 4.639, 4.639, 4.639 Å; angles 60.00, 60.00, 60.00 degrees
Positions (direct):
Sc  0.000  0.000  0.000
Rh  0.250  0.250  0.250
Rh  0.750  0.750  0.750
Pb  0.500  0.500  0.500

***

[2]
First-principles (PBE) data for crystalline CsLiMg6 at its relaxed geometry, as listed in the Materials Project.

Computed properties:
Its total energy is -1.28 eV per atom.

Cell lengths 5.341, 7.260, 11.759 Å; angles 90.00, 90.00, 90.00 degrees
Positions (direct):
Cs  0.500  0.500  0.175
Cs  0.500  0.000  0.675
Li  0.000  0.500  0.350
Li  0.000  0.000  0.850
Mg  0.000  0.786  0.069
Mg  0.000  0.214  0.069
Mg  0.000  0.500  0.832
Mg  0.500  0.744  0.922
Mg  0.500  0.256  0.922
Mg  0.500  0.500  0.662
Mg  0.000  0.286  0.569
Mg  0.000  0.714  0.569
Mg  0.000  0.000  0.332
Mg  0.500  0.244  0.422
Mg  0.500  0.756  0.422
Mg  0.500  0.000  0.162

***

[3]
First-principles (PBE) data for crystalline Sr3LaBr9 at its relaxed geometry, as listed in the Materials Project.

Computed properties:
For the total energy after the MP2020 corrections, the calculation gives -56.78 eV per formula unit.

Cell lengths 7.270, 7.811, 30.661 Å; angles 88.09, 90.00, 90.00 degrees
Positions (direct):
Sr  0.970  0.672  0.933
Sr  0.003  0.704  0.692
Sr  0.030  0.672  0.433
Sr  0.997  0.704  0.192
Sr  0.988  0.317  0.569
Sr  0.985  0.283  0.809
Sr  0.012  0.317  0.069
Sr  0.015  0.283  0.309
Sr  0.521  0.215  0.692
Sr  0.515  0.177  0.932
Sr  0.479  0.215  0.192
Sr  0.485  0.177  0.432
La  0.521  0.796  0.807
La  0.545  0.820  0.567
La  0.479  0.796  0.307
La  0.455  0.820  0.067
Br  0.800  0.984  0.870
Br  0.821  0.990  0.751
Br  0.818  0.998  0.629
Br  0.200  0.984  0.370
Br  0.179  0.990  0.251
Br  0.710  0.892  0.991
Br  0.182  0.998  0.129
Br  0.326  0.850  0.895
Br  0.290  0.892  0.491
Br  0.393  0.844  0.706
Br  0.674  0.850  0.395
Br  0.607  0.844  0.206
Br  0.152  0.643  0.796
Br  0.200  0.646  0.600
Br  0.848  0.643  0.296
Br  0.800  0.646  0.100
Br  0.753  0.584  0.510
Br  0.683  0.502  0.868
Br  0.695  0.506  0.751
Br  0.702  0.517  0.629
Br  0.247  0.584  0.010
Br  0.317  0.502  0.368
Br  0.305  0.506  0.251
Br  0.298  0.517  0.129
Br  0.762  0.395  0.989
Br  0.238  0.395  0.489
Br  0.157  0.345  0.900
Br  0.119  0.329  0.699
Br  0.843  0.345  0.400
Br  0.881  0.329  0.199
Br  0.387  0.154  0.797
Br  0.350  0.133  0.599
Br  0.613  0.154  0.297
Br  0.650  0.133  0.099
Br  0.758  0.074  0.510
Br  0.242  0.074  0.010

=====

CeNi3 PBE optimized geometry; ΔH_f (0 K) = -9.021 kcal/mol of atoms; space group = P6_3/mmc, No. 194; crystal system = hexagonal
1.0
4.946 0.000 0.000
-2.473 4.283 0.000
0.000 0.000 16.573
Ce Ni
6 18
Cartesian
0.000 2.856 0.696
0.000 2.856 4.143
0.000 2.856 7.590
2.473 1.428 8.983
2.473 1.428 12.430
2.473 1.428 15.877
0.000 0.000 0.000
0.000 0.000 4.143
=====

We also have a clear focus on general research on model-based fault diagnosis. The goal of model-based fault diagnosis is to detect and isolate faults in a physical process. Our research is focused on how a dynamic or static model of the process can be utilized in the design of a diagnosis system. We investigate both purely theoretical problems and more application-oriented problems. We have a general interest in all kinds of applications, e.g. aircrafts, chemical process plants, automotive engines.


Courses given by the Division of Vehicular Systems


Courses given by the Division of Vehicular Systems

TMEI01 Electrical Engineering, 6 credits
TSFS02 Vehicle Dynamics and Control, 6 credits
TSFS03 Vehicle Propulsion Systems, 6 credits
TSFS04 Electrical Drives, 6 credits

TSFS06 Diagnosis and Supervision, 6 credits
TSFS09 Modelling and Control of Engines and Drivelines, 6 credits
TSFS11 Electrical and Energy Technology, 6 credits
TSFS12 Autonomous Vehicles - Planning, Control, and Learning Systems, 6 credits
TSFS13 Electrical Engineering, 6 credits
TSFS14 Electrical Engineering, 6 credits
CDIO-project, 12 credits
TFYY51 Engineering Project, 6 credits

Study profiles


Study profile for M and Y programs

Courses in autonomous vehicles, vehicle dynamics with control, vehicle propulsion systems, modeling and control of engines and drivelines, and diagnosis and supervision, are all selectable in the master profiles Mechatronics on the M program and Automatic Control och the Y program. The courses are also selectable for many other study programs.

The profile in Mechatronics aims at preparing students for leading industrial development and research within model-based system development, where control systems are a core part of product functionality and value. The master profiles provide a solid foundation for work within both Swedish and international system developing industries.

Autonomous Systems

Study profile for the D program

Increased autonomy, digitalization, and increased robotics is a clear development in Swedish industry, now and for a foreseeable future. This study profile meets this societal need, both in research and industrial development. Keywords for the profile are:

  • Perception
  • Control and decision-making
  • Dynamical systems
  • Algorithms

The Vehicle Lab

News articles

Picture of award ceremony.

PhD Workshop 2024 – A Successful Initiative

For the second time, the Department of Electrical Engineering (ISY) organized a full-day conference for its PhD students – PhD Workshop 2024. A successful initiative with a focus on presenting the department's research.

Demo of autonomous vehicle in Visionen.

ISY Day 2024 – AI in Society, Education, and Research

This year’s edition of ISY Day offered lectures, discussions, and demonstrations within this year's theme "AI in Society, Education, and Research". A theme that is both current and highly relevant at the Department of Electrical Engineering.

Abhijeet Behera’s licentiate seminar

Abhijeet Behera’s licentiate seminar

Abhijeet Behera successfully defended his licentiate thesis, with the title "Performance assessment of long combination vehicles using Naturalistic Driving Data" on April 16th.

ELLIIT Joint Autonomous Systems Lab in Linköping and Lund showcasing autonomous robot.

The University Board on Study Visit to Visionen

In December 2023, the university board visited the Department of Electrical Engineering (ISY). In the research arena Visionen, examples were presented highlighting Linköping University's crucial role in technological and societal development.

City by night, moving cars, night light and intelligent transport systems

Scholarship and Research Funding for Professor Lars Eriksson

Lars Eriksson, professor in Vehicular Systems at The Deparment of Electrical Engineering, is awarded the Håkan Frisinger Award for Excellence in Transportation Research.

A person with a drone.

LiU gets new competence centre – close collaborations with industry

Vinnova is investing more than SEK 30 million in a new competence centre in autonomous systems and advanced mathematical methods at LiU. Climate change and global security are to be the focus of the research groups.


Lennart Ljung

A long tradition of collaboration

Since the start of the 1990s, close collaboration based on mutual respect has been built up between researchers at LiU and large companies such as ABB, Ericsson, Scania and Saab. This collaboration has resulted in many major projects.

Ekologisk matkasse

Your grocery bag reveals how you drive

If you shop for ecological food, you’re also better prepared to drive an electric hybrid car in the best possible way. But being trained in ecodriving could almost be a disadvantage, as researchers from LiU and VTI show in a study.


LiU research stops exhaust cheating

The Volkswagen scandal has sped up the work to produce new legal requirements for emissions while driving under actual conditions. With the LiU researchers’ method, new reliable tests can be developed quickly and easily.




About the Department